Activities to mark Windrush Day

Discover the history behind this day and how you can get involved with your friends, family and units

21 June 2023

Today marks 75 years since the Empire Windrush ship docked at Tilbury, bringing the first of the Windrush generation to the UK.

Who are the Windrush generation?

On 22 June 1948, Her Majesty’s troopship the Empire Windrush arrived at Tilbury Docks, having sailed from Kingston, Jamaica.

The ship carried over a thousand passengers, hundreds of whom came from the Caribbean. After the second world war, Britain needed help to rebuild and these passengers, along with migrants from other parts of the Commonwealth, played a huge role.

********
[1]
The following is a PBE-GGA calculation of Tb6Tm2Se3 after structural relaxation, from Alexandria via LeMat-Bulk.

Formation energy (no corrections) (eV per formula unit): -9.711
Density (g/cm³): 8.06
Total magnetization (Bohr magnetons per cell): 0.00

extended XYZ file:
```
11
Lattice="1.902 1.098 25.117 -1.902 1.098 25.117 0.000 -2.196 25.117" Properties=species:S:1:pos:R:3 pbc="T T T"
Tb 0.000 0.000 5.578
Tb 0.000 0.000 13.952
Tb 0.000 0.000 26.977
Tb 0.000 0.000 48.374
Tb 0.000 0.000 61.399
Tb 0.000 0.000 69.773
Tm 0.000 0.000 33.485
Tm 0.000 0.000 41.866
Se 0.000 0.000 0.000
Se 0.000 0.000 21.436
Se 0.000 0.000 53.915
```

=====

[2]
The following is a PBE-GGA calculation of Hf5Sn2Hg after structural relaxation, from Alexandria via LeMat-Bulk.

Density (g/cm³): 10.67
Calculated formation energy (eV/atom): 0.236
Total magnetization (Bohr magnetons per cell): 0.00

extended XYZ file:
```
16
Lattice="2.455 -6.858 0.000 2.455 6.858 0.000 0.000 0.000 12.300" Properties=species:S:1:pos:R:3 pbc="T T T"
Hf 2.455 5.361 7.662
Hf 2.455 5.361 10.788
Hf 2.455 2.669 3.075
Hf 2.455 2.614 6.242
Hf 2.455 2.614 12.209
Hf 2.455 -2.614 0.092
Hf 2.455 -2.614 6.059
Hf 2.455 -2.669 9.225
Hf 2.455 -5.361 1.512
Hf 2.455 -5.361 4.638
Sn 2.455 5.416 1.481
Sn 2.455 5.416 4.669
Sn 2.455 -5.416 7.631
Sn 2.455 -5.416 10.819
Hg 2.455 2.470 9.225
Hg 2.455 -2.470 3.075
```

=====

[3]
The following is a PBE-GGA calculation of Ta2BIrCl after structural relaxation, from Alexandria via LeMat-Bulk.

Formation energy (no corrections) (eV per formula unit): 8.407
Density (g/cm³): 11.58
Total magnetization (Bohr magnetons per cell): 0.00

extended XYZ file:
```
5
Lattice="4.474 0.000 0.000 0.000 4.474 0.000 0.000 0.000 4.300" Properties=species:S:1:pos:R:3 pbc="T T T"
Ta 0.000 2.237 0.000
Ta 2.237 0.000 0.000
B 0.000 0.000 2.150
Ir 2.237 2.237 2.150
Cl 2.237 2.237 0.000
```

=====

[4]
The following is a PBE-GGA calculation of YZnW2 after structural relaxation, from Alexandria via LeMat-Bulk.

Density (g/cm³): 11.79
Calculated formation energy (eV/atom): 0.643
Total magnetization (Bohr magnetons per cell): 0.00

extended XYZ file:
```
8
Lattice="5.649 0.000 0.000 0.000 9.413 0.000 0.000 0.000 2.765" Properties=species:S:1:pos:R:3 pbc="T T T"
Y 0.000 0.000 0.000
Y 2.825 4.707 0.000
Zn 0.000 4.707 0.000
Zn 2.825 0.000 0.000
W 1.412 2.353 1.382
W 1.412 7.060 1.382
W 4.237 2.353 1.382
W 4.237 7.060 1.382
```

=====

[5]
The following is a PBE-GGA calculation of Sr2AlPb after structural relaxation, from Alexandria via LeMat-Bulk.

Density (g/cm³): 5.16
Calculated formation energy (eV/atom): -0.295
Polymorph energy (0 for the lowest one) (eV per atom): 0.004
Total magnetization (Bohr magnetons per cell): 0.00

extended XYZ file:
```
16
Lattice="8.078 0.000 0.000 0.000 8.078 0.000 0.000 0.000 8.078" Properties=species:S:1:pos:R:3 pbc="T T T"
Sr 2.019 2.019 2.019
Sr 2.019 2.019 6.058
Sr 2.019 6.058 2.019
Sr 2.019 6.058 6.058
Sr 6.058 2.019 2.019
Sr 6.058 2.019 6.058
********

They did important jobs like making steel, coal, iron and food. They also worked in public transportation and helped build the NHS. Many had also served in the British armed forces during the war.

Over time, Caribbean migrants who came to work or join family in the UK between 1948 and 1971 became known as the Windrush generation.

This generation greatly influenced our cultural scene, introducing tasty food, vibrant music, fashion and art. They also fought for fairness and equal rights as they faced racism and discrimination. In 1971, the government had given Commonwealth citizens the permanent right to live and work in the UK.

But in 2018, it emerged that the UK Home Office hadn’t kept any records of those granted permission to stay. It had also destroyed landing cards belonging to Windrush migrants. This meant that those affected couldn’t prove they were in the country legally, and were prevented from accessing healthcare, work and housing. Some of them had been wrongly deported (sent away from the UK).

In 2018, the government apologised to the Windrush generation for their treatment and announced that a national Windrush Day will take place on 22 June every year.

The purpose of Windrush Day is to encourage communities across the country to celebrate the contributions made by the Windrush generation and thank them for rebuilding our country.

How can we celebrate Windrush day in guiding?

There are many ways to celebrate Windrush Day, both on the day itself and throughout the year, with your unit or at home. Try these ideas:

Create colourful Windrush bunting

So many Caribbean countries were represented on the Empire Windrush ship, from Jamaica to Trinidad. Help your unit learn about each of them by making bunting flags. You can hang these up as vibrant decoration and as a reminder of the diverse heritage of the Windrush generation. 

Check out more Windrush resources from Reading Museum

Calculated crystals from another source follow >
~~~
1.
{
  "formula": "KTaCu2Se4",
  "functional": "PBE-GGA",
  "state": "optimized geometry",
  "cell": [[-3.036, 4.188, 4.547], [3.036, -4.188, 4.547], [3.036, 4.188, -4.547]],
  "species": ["K", "Ta", "Cu", "Cu", "Se", "Se", "Se", "Se"],
  "frac_coords": [[0.000, 0.000, 0.000], [0.500, 0.500, 0.000], [0.366, 0.866, 0.500], [0.634, 0.134, 0.500], [0.163, 0.128, 0.612], [0.484, 0.872, 0.035], [0.516, 0.551, 0.388], [0.837, 0.449, 0.965]],
  "e_above_lowest_polymorph_ev_per_atom": 0.1536,
  "magmom_total_mub_per_fu": 0.00,
  "dft_energy_ev_per_atom": -4.976,
  "spacegroup": "No. 23",
  "crystal_system": "orthorhombic",
  "e_form_raw_ev_per_fu": -4.72
}



2.
{
  "formula": "Sm6GaBi2",
  "functional": "PBE-GGA",
  "state": "optimized geometry",
  "cell": [[8.552, 0.000, 0.000], [-4.276, 7.406, 0.000], [0.000, 0.000, 4.387]],
  "species": ["Sm", "Sm", "Sm", "Sm", "Sm", "Sm", "Ga", "Bi", "Bi"],
  "frac_coords": [[0.000, 0.242, 0.000], [0.000, 0.595, 0.500], [0.242, 0.000, 0.000], [0.405, 0.405, 0.500], [0.595, 0.000, 0.500], [0.758, 0.758, 0.000], [0.000, 0.000, 0.500], [0.333, 0.667, 0.000], [0.667, 0.333, 0.000]],
  "magmom_total_mub_per_fu": 4.91,
  "dft_energy_ev_per_atom": -4.905,
  "spacegroup": "No. 189",
  "crystal_system": "hexagonal",
  "dos_at_fermi_per_ev_cell": 9.5,
  "formation_energy_kj_per_mol_fu": -487
}



3.
{
  "formula": "MnAlRh6",
  "functional": "PBE-GGA",
  "state": "optimized geometry",
  "cell": [[2.819, -4.501, 0.000], [2.819, 4.501, 0.000], [0.000, 0.000, 4.499]],
  "species": ["Mn", "Al", "Rh", "Rh", "Rh", "Rh", "Rh", "Rh"],
  "frac_coords": [[0.000, 0.000, 0.000], [0.500, 0.500, 0.000], [0.000, 0.500, 0.000], [0.250, 0.750, 0.500], [0.253, 0.253, 0.500], [0.500, 0.000, 0.000], [0.747, 0.747, 0.500], [0.750, 0.250, 0.500]],
  "magmom_total_mub_per_fu": 4.32,
  "dft_energy_ev_per_atom": -7.296,
  "spacegroup": "No. 65",
  "crystal_system": "orthorhombic",
  "dos_at_fermi_per_ev_cell": 12.0,
  "formation_energy_kj_per_mol_fu": -130
}



4.
{
  "formula": "K6Mn3Br14",
  "functional": "PBE-GGA",
  "state": "optimized geometry",
  "cell": [[11.702, 0.000, 0.000], [-5.851, 10.135, 0.000], [0.000, 0.000, 7.161]],
  "species": ["K", "K", "K", "K", "K", "K", "Mn", "Mn", "Mn", "Br", "Br", "Br", "Br", "Br", "Br", "Br", "Br", "Br", "Br", "Br", "Br", "Br", "Br"],
  "frac_coords": [[0.048, 0.468, 0.000], [0.280, 0.199, 0.529], [0.420, 0.952, 0.000], [0.532, 0.580, 0.000], [0.801, 0.081, 0.529], [0.919, 0.720, 0.529], [0.000, 0.000, 0.103], [0.333, 0.667, 0.585], [0.667, 0.333, 0.740], [0.000, 0.000, 0.755], [0.061, 0.222, 0.236], [0.161, 0.939, 0.236], [0.186, 0.742, 0.724], [0.258, 0.444, 0.724], [0.333, 0.667, 0.237], [0.469, 0.263, 0.941], [0.536, 0.137, 0.544], [0.556, 0.814, 0.724], [0.601, 0.464, 0.544], [0.737, 0.206, 0.941], [0.778, 0.839, 0.236], [0.794, 0.531, 0.941], [0.863, 0.399, 0.544]],
  "magmom_total_mub_per_fu": 13.00,
  "dft_energy_ev_per_atom": -3.757,
  "spacegroup": "No. 143",
  "crystal_system": "trigonal",
~~~

Cook a recipe from one of the Caribbean countries

Have you ever wondered what delicious foods people from the Caribbean brought with them on Empire Windrush? Try a delicious recipe from the Caribbean like Jamaican fritters or St Vincent sweet potato pudding. Gather the ingredients, follow the recipe step by step and enjoy a tasty dish.

Rangers can take this activity further by working towards their cooking interest badge – perhaps one of these dishes could end up in their recipe books!

Pack a suitcase

Imagine you're going on a journey, just like the people who boarded the Empire Windrush. Close your eyes and think about what you would pack in your suitcase. What special items would you bring? Draw or write about the things that are important to you. 

Check out more Windrush resources from Haringey council

Attend a Windrush Day Event

There are lots of special events happening on and around Windrush Day. Check if there's an event near you or online where you can learn, celebrate, and have fun! These events often include storytelling, music, dancing, and workshops. And you could hear inspiring stories from the Windrush generation and learn about their contributions to the UK.

It's a chance to meet new people, ask questions, and show your appreciation for the rich history and culture they brought with them.

Useful links

If you’d like to learn more about Windrush Day, here are some links to get you started.

Do you have plans to mark Windrush Day? Or does it mean something extra special to you? Tell us all about it by emailing [email protected].